Wanted:
It remains to duplicate the part of the lines further below that starts with the line with "4.0669 1.5187" and stops after the one with "-2.8893 -0.2948".
File:
~~~
# 1
This record from OMol25 describes a molecular structure, C38H38F5MnN4OS2Sb. The level of theory is ωB97M-V/def2-TZVPD.

```
90
Properties=species:S:1:pos:R:3:forces:R:3
Mn 0.2622 2.0217 -1.8046 -1.8 -0.6 -0.9
N -0.1075 3.1171 2.3350 0.2 0.1 -0.3
C 0.1910 2.6456 1.1105 -0.8 0.0 -1.0
S -1.0794 2.7126 -0.0928 -0.1 1.4 -0.2
N 1.3350 2.0913 0.8609 0.9 -0.1 0.9
N 1.5357 1.7423 -0.4257 2.2 -0.8 0.9
C 2.6924 1.1797 -0.7651 -1.4 0.4 1.5
C 3.6818 0.7053 0.2024 0.2 0.1 0.2
C 4.2349 -0.5701 0.0776 0.0 0.1 -0.1
C 5.1610 -1.0149 1.0009 0.2 0.0 0.0
C 5.5428 -0.1981 2.0540 0.1 0.0 -0.1
C 4.9980 1.0682 2.1802 0.0 0.1 0.0
C 4.0669 1.5187 1.2657 0.1 0.1 -0.1
C 2.9078 1.0901 -2.1852 0.2 -0.1 -1.5
C 4.1214 0.6840 -2.7607 -0.5 0.2 0.6
C 4.2675 0.6985 -4.1298 -0.5 0.2 -0.5
C 3.1894 1.1118 -4.9098 0.4 -0.1 0.3
C 2.0285 1.5216 -4.2837 -0.3 0.1 -0.2
N 1.8703 1.5293 -2.9578 1.0 -0.4 -0.1
H -0.9360 3.6843 2.4232 0.1 0.0 0.1
H 0.6557 3.2853 2.9703 0.0 -0.1 0.1
H 3.9114 -1.2248 -0.7220 0.0 0.0 0.0
H 5.5883 -2.0023 0.9006 0.0 -0.1 0.0
H 6.2656 -0.5499 2.7750 0.1 0.0 0.0
H 5.3017 1.7126 2.9906 0.0 0.0 0.1
H 3.6389 2.5043 1.3504 0.1 0.0 0.1
H 4.9382 0.3923 -2.1181 0.0 0.0 0.0
H 5.1998 0.4092 -4.5929 0.0 0.0 0.0
H 3.2589 1.1509 -5.9842 0.0 0.0 -0.1
H 1.1949 1.8693 -4.8769 -0.1 0.1 0.1
C -0.5890 -1.7951 -4.1307 -0.2 0.6 -0.2
S -1.0933 -0.0302 -4.0199 -0.6 -1.4 -0.1
C -2.8893 -0.2948 -4.1823 0.5 0.4 -0.1
O -0.8998 0.3010 -2.5507 0.3 0.5 0.2
H -1.3663 -2.4559 -3.7644 -0.1 0.0 0.1
H 0.3167 -1.9133 -3.5443 0.1 0.1 0.1
H -0.3743 -2.0099 -5.1709 0.0 -0.1 -0.2
H -3.0773 -0.8198 -5.1131 0.0 -0.1 -0.1
H -3.3632 0.6823 -4.2127 0.0 0.1 0.0
H -3.2539 -0.8589 -3.3308 0.1 -0.1 0.2
C -2.1781 -2.5611 3.1085 0.0 0.0 0.1
C -2.1420 -3.1191 1.7244 -0.2 -0.5 -0.1
C -2.4450 -4.4609 1.5177 0.0 0.0 0.1
C -2.4073 -5.0291 0.2584 0.0 -0.1 0.0
C -2.0795 -4.2514 -0.8379 0.1 -0.1 -0.1
C -1.7804 -2.9141 -0.6487 0.0 0.1 -0.1
C -1.8054 -2.3546 0.6162 0.2 1.1 0.3
Sb -1.1844 -0.2726 0.8268 0.1 -1.5 -0.3
C 0.5664 -0.9154 2.0376 -0.9 0.3 0.1
C 1.2811 -1.8646 1.3164 -0.1 0.0 -0.1
C 2.4071 -2.4594 1.8485 0.0 0.0 0.0
C 2.8520 -2.0762 3.1029 -0.1 -0.1 0.0
C 2.1546 -1.1175 3.8079 0.1 0.1 0.1
C 1.0039 -0.5226 3.2955 0.2 -0.2 -0.1
C 0.2592 0.4607 4.1388 -0.1 -0.1 -0.1
C -3.0635 0.4674 1.7250 1.1 -0.4 0.0
C -3.1779 0.9597 3.0137 -0.2 0.1 0.1
C -4.3929 1.4408 3.4766 0.1 0.1 0.1
C -5.4979 1.4306 2.6461 0.0 0.0 0.1
C -5.3810 0.9396 1.3594 0.0 0.1 0.0
C -4.1688 0.4625 0.8741 -0.1 0.1 0.1
C -4.0904 -0.0607 -0.5267 0.0 -0.1 0.0
H -2.5539 -3.3033 3.8068 0.0 0.0 0.1
H -2.8196 -1.6835 3.1559 0.0 0.0 0.1
H -1.1776 -2.2702 3.4242 0.1 0.1 0.1
H -2.7063 -5.0691 2.3704 0.0 -0.1 0.1
H -2.6315 -6.0779 0.1383 0.0 -0.1 0.0
H -2.0404 -4.6877 -1.8246 0.0 -0.1 -0.1
H -1.5171 -2.2829 -1.4889 0.0 0.0 -0.1
H 0.9409 -2.1614 0.3294 0.0 -0.1 0.0
H 2.9346 -3.2155 1.2879 0.1 -0.1 -0.1
H 3.7348 -2.5295 3.5264 0.1 0.0 0.1
H 2.4985 -0.8203 4.7878 0.1 0.0 0.1
H -0.3983 -0.0712 4.8278 -0.1 0.1 0.1
H -0.3353 1.1208 3.5140 0.0 0.0 0.1
H 0.9444 1.0618 4.7314 0.0 0.1 0.1
H -2.3300 0.9703 3.6794 0.1 0.0 0.1
H -4.4642 1.8327 4.4809 0.0 0.0 0.1
H -6.4448 1.8097 2.9976 -0.1 0.0 0.0
H -6.2425 0.9362 0.7088 -0.1 0.0 -0.1
H -4.9562 0.2564 -1.1014 -0.1 0.0 -0.1
H -4.0694 -1.1524 -0.5097 0.1 0.0 -0.1
H -3.1884 0.3056 -1.0226 0.0 -0.1 -0.1
F -1.9213 3.6574 -2.8036 0.5 -0.2 0.2
C -0.6346 3.2822 -3.1119 -1.2 0.9 -0.9
F -0.7349 2.9269 -4.4533 0.3 -0.2 0.4
C 0.2571 4.5414 -3.0523 0.7 0.8 0.5
F 1.0765 4.4278 -1.9400 -0.3 -0.1 -0.2
F -0.3729 5.6950 -2.9205 -0.2 -0.2 -0.2
F 1.0977 4.6240 -4.0832 -0.1 -0.2 -0.2
```
Positions in Å, forces in eV/Å.

Summary:
HOMO-LUMO gap (spin up / spin down), eV: 5.3 / 5.2
Multiplicity: 5
Energy above the lowest of the compared OMol25 structures with the same formula, charge and spin, kJ/mol: 0.0
LUMO level (spin up / spin down), eV: -4.1798 / -4.3522
Net charge: +1

These are the Mulliken partial charges, in e, on atoms 1 to 5:
1 Mn 0.8514
2 N -0.1567
3 C 0.0352
4 S -0.4740
5 N -0.9037

# 2
~~~
Done:
C 4.0669 1.5187 1.2657 0.1 0.1 -0.1
C 2.9078 1.0901 -2.1852 0.2 -0.1 -1.5
C 4.1214 0.6840 -2.7607 -0.5 0.2 0.6
C 4.2675 0.6985 -4.1298 -0.5 0.2 -0.5
C 3.1894 1.1118 -4.9098 0.4 -0.1 0.3
C 2.0285 1.5216 -4.2837 -0.3 0.1 -0.2
N 1.8703 1.5293 -2.9578 1.0 -0.4 -0.1
H -0.9360 3.6843 2.4232 0.1 0.0 0.1
H 0.6557 3.2853 2.9703 0.0 -0.1 0.1
H 3.9114 -1.2248 -0.7220 0.0 0.0 0.0
H 5.5883 -2.0023 0.9006 0.0 -0.1 0.0
H 6.2656 -0.5499 2.7750 0.1 0.0 0.0
H 5.3017 1.7126 2.9906 0.0 0.0 0.1
H 3.6389 2.5043 1.3504 0.1 0.0 0.1
H 4.9382 0.3923 -2.1181 0.0 0.0 0.0
H 5.1998 0.4092 -4.5929 0.0 0.0 0.0
H 3.2589 1.1509 -5.9842 0.0 0.0 -0.1
H 1.1949 1.8693 -4.8769 -0.1 0.1 0.1
C -0.5890 -1.7951 -4.1307 -0.2 0.6 -0.2
S -1.0933 -0.0302 -4.0199 -0.6 -1.4 -0.1
C -2.8893 -0.2948 -4.1823 0.5 0.4 -0.1